Wednesday, July 21, 2010

12-Week "Experiencing God" class completed.

The 2nd class of the "Experiencing God" study by Blackaby completed the course this past Monday, July 19, at Bay Area Fellowship. The program included a summary of the lessons learned in the course, an introduction of service ministries and discipleship groups, prayer, and cake & ice cream. The point of the evening was about next steps to apply what they had learned into their lives. The next class will begin sometime in early 2011. See pics here...

Sunday, July 18, 2010

Week #2 of "The Measure of a Man" study, join us!

This Monday, July 19, we kick off the second week of "The Measure of a Man" study covering the topics of living in moral purity (the husband of one wife) and living a balanced life (a temperate man).

Again, this study is based on the book titled The Measure of a Man by Gene Getz, and the study is designed for you to plug in at any time and not miss a beat. So, take a look at the calendar below and pick a day to plug in. Bring your Bible and an open heart.


Thursday, July 15, 2010

BAF Men Discipleship Groups Start a New Study This Week

"The Measure of a Man" by Gene Getz has been converted into a study guide just for BAF Men. For the next 10 weeks, we will study and implement the 20 qualities every Christian man should develop (1 Timothy 3:1-7, Titus 1:5-10). These qualities are identified throughout the Bible, but the Apostle Paul lists them for us in two letters to Timothy and Titus, which makes this all the easier for us today.

The Monday & Wednesday groups have already covered the first study which covered the list of 20 qualities and dove into the first two qualities of being a (1) well-rounded faithful man and (2) someone of good reputation.

Here's the exciting challenge. Get to a group and make the commitment to grow in your understanding and relationship with God. Satan does not want you to know what we have to cover. Satan does not want you to build the kind of relationships, and alliances, with other Christian men that will grow your understanding of God's Word in the Bible and hold you accountable to living an authentic life centered on Jesus Christ. Satan flat out does not want you to be closer to God. Frankly, if he can convince the man of a household to quit, he has taken out the entire family.

We have set up the studies to be used independently or in conjunction with the book. We have books on order so you can read along and get an even deeper understanding of this study, but it is designed in a way that all you have to do is show up with an open heart and a Bible.

Don't have a book? No problem, we have some on order for you.

== Materials data, kept here for reference ==
~~~
Record 1
Diffraction record for Ba4Pd. The powder diffraction line list is simulated, not measured: it uses a GGA-PBE-relaxed structure and λ = 1.5418 Å (Cu Kα).
Lines closer than 0.1° are merged.

Crystal structure
Unit cell a=13.405 b=13.405 c=13.405 alpha=90.00 beta=90.00 gamma=90.00
Space group Fd-3m (No. 227, origin choice 2)
Inequivalent atoms, fractional coordinates:
Ba1 0.004 0.004 0.246
Pd1 0.125 0.125 0.625

Top 10 peaks for 2θ = 5–70°, by intensity:
2θ 22.98, rel. 1000, (2 2 2)
2θ 37.97, rel. 584, (4 4 0)
2θ 44.85, rel. 493, (6 2 2)
2θ 26.60, rel. 327, (4 0 0)
2θ 60.18, rel. 203, (6 6 2)
2θ 68.60, rel. 199, (8 4 4)
2θ 61.91, rel. 117, (8 4 0)
2θ 18.72, rel. 109, (2 2 0)
2θ 54.79, rel. 98, (8 0 0)
2θ 46.96, rel. 90, (4 4 4)

=====

Record 2
Diffraction record for BaPd5. The powder diffraction line list is simulated, not measured: it uses a GGA-PBE-relaxed structure and λ = 1.5418 Å (Cu Kα).
Lines closer than 0.1° are merged.

Crystal structure
Unit cell a=5.6071 b=5.6071 c=4.4211 alpha=90.00 beta=90.00 gamma=120.00
Space group P6/mmm (No. 191)
Inequivalent atoms, fractional coordinates:
Ba1 0.0000 0.0000 0.0000
Pd1 0.0000 0.5000 0.5000
Pd2 0.3333 0.6667 0.0000

Top 10 peaks for 2θ = 5–70°, by intensity:
2θ 38.00, rel. 1000, (1 1 1)
2θ 42.48, rel. 319, (2 0 1)
2θ 37.03, rel. 313, (2 0 0)
2θ 40.82, rel. 296, (0 0 2)
2θ 60.95, rel. 246, (3 0 1)
2θ 31.92, rel. 223, (1 1 0)
2θ 66.73, rel. 202, (2 2 0)
2θ 27.28, rel. 201, (1 0 1)
2θ 56.28, rel. 183, (2 0 2)
2θ 18.27, rel. 118, (1 0 0)

=====

Record 3
Diffraction record for Ba2Pd. The powder diffraction line list is simulated, not measured: it uses a GGA-PBE-relaxed structure and λ = 1.5418 Å (Cu Kα).
Lines closer than 0.1° are merged.

Crystal structure
Unit cell a=8.449 b=5.302 c=10.492 alpha=90.00 beta=90.00 gamma=90.00
Space group Pnma (No. 62)
Inequivalent atoms, fractional coordinates:
Ba1 0.003 0.250 0.156
Ba2 0.140 0.250 0.586
Pd1 0.241 0.250 0.913

Top 10 peaks for 2θ = 5–70°, by intensity:
2θ 26.12, rel. 1000, (1 1 2)
2θ 28.32, rel. 709, (2 1 1)
2θ 33.81, rel. 484, (0 2 0)
2θ 30.62, rel. 416, (0 1 3)
2θ 26.99, rel. 268, (2 1 0)
2θ 37.45, rel. 262, (2 1 3)
2θ 37.15, rel. 220, (3 1 1)
2θ 27.61, rel. 186, (1 0 3)
2θ 32.93, rel. 184, (3 0 1)
2θ 34.19, rel. 182, (0 0 4)

=====

Record 4
Diffraction record for BaPdS2. The powder diffraction line list is simulated, not measured: it uses a GGA-PBE-relaxed structure and λ = 1.5418 Å (Cu Kα).
Lines closer than 0.1° are merged.

Crystal structure
Unit cell a=6.863 b=10.778 c=5.737 alpha=90.00 beta=90.00 gamma=90.00
Space group Cmcm (No. 63)
Inequivalent atoms, fractional coordinates:
Ba1 0.000 0.151 0.250
Pd1 0.000 0.500 0.000
S1 0.236 0.406 0.250

Top 10 peaks for 2θ = 5–70°, by intensity:
2θ 28.03, rel. 1000, (1 3 0)
2θ 21.81, rel. 834, (1 1 1)
2θ 34.71, rel. 707, (2 2 1)
2θ 34.91, rel. 662, (1 1 2)
2θ 25.97, rel. 329, (2 0 0)
2θ 44.47, rel. 315, (2 2 2)
2θ 46.22, rel. 302, (0 4 2)
2θ 16.45, rel. 296, (0 2 0)
2θ 51.82, rel. 257, (3 1 2)
~~~
== The materials data stop here ==

Have a book, but you haven't read this week's chapters? No problem, the study is designed just for you.

Don't have a book, and missed the first week of the study? No problem, each discussion/lesson works as a great stand along lesson, so you can plug into a group and still get something out of this. We designed this just for you as well.

Have a book, been reading it, and have the time to attend a group, but haven't? Well, get into a group! What's your excuse?

We've removed the excuses so you can make the commitment. Come join us and deepen your relationship with God starting this week.

Between two parts of the entry: records of crystals
********
(1)
The following is a calculated powder XRD pattern of Pr2Zn4Pt3Rh. It was derived from a structure optimized by DFT (PBE), using Cu Kα (λ = 1.5418 Å).
No peak broadening, texture or thermal motion is included.

Atomic structure:
```
data_Pr2Zn4Pt3Rh
_symmetry_space_group_name_H-M 'P -4 m 2'
_symmetry_Int_Tables_number 115
_symmetry_space_group_name_Hall 'P -4 -2'
_cell_length_a 4.212
_cell_length_b 4.212
_cell_length_c 10.829
_cell_angle_alpha 90.00
_cell_angle_beta 90.00
_cell_angle_gamma 90.00
loop_
_atom_site_label
_atom_site_type_symbol
_atom_site_fract_x
_atom_site_fract_y
_atom_site_fract_z
Pr1 Pr 0.000 0.500 0.237
Zn1 Zn 0.000 0.000 0.500
Zn2 Zn 0.000 0.500 0.871
Zn3 Zn 0.500 0.500 0.500
Pt1 Pt 0.000 0.000 0.000
Pt2 Pt 0.000 0.500 0.640
Rh1 Rh 0.500 0.500 0.000
```

Most intense lines, 10 to 80 degrees two-theta, sorted by position:
2theta  d (Å)  Rel. int.
26.82  3.325  24.9
32.67  2.741  56.3
34.36  2.610  100.0
42.94  2.106  66.0
45.27  2.003  32.6
47.19  1.926  35.6
54.98  1.670  25.7
65.69  1.421  26.3



(2)
The following is a calculated powder XRD pattern of PrPtS. It was derived from a structure optimized by DFT (PBE), using Cu Kα (λ = 1.5418 Å).
No peak broadening, texture or thermal motion is included.

Atomic structure:
```
data_PrPtS
_symmetry_space_group_name_H-M 'C m c m'
_symmetry_Int_Tables_number 63
_symmetry_space_group_name_Hall '-C 2c 2'
_cell_length_a 4.261
_cell_length_b 10.826
_cell_length_c 5.610
_cell_angle_alpha 90.00
_cell_angle_beta 90.00
_cell_angle_gamma 90.00
loop_
_atom_site_label
_atom_site_type_symbol
_atom_site_fract_x
_atom_site_fract_y
_atom_site_fract_z
Pr1 Pr 0.000 0.135 0.250
Pt1 Pt 0.000 0.432 0.250
S1 S 0.000 0.166 0.750
```

Most intense lines, 10 to 80 degrees two-theta, sorted by position:
2theta  d (Å)  Rel. int.
27.55  3.238  72.2
31.91  2.805  68.9
32.52  2.754  41.6
36.34  2.472  100.0
36.88  2.438  26.9
42.43  2.130  31.4
46.20  1.965  30.8
54.05  1.697  30.9



(3)
The following is a calculated powder XRD pattern of Pr7PtS5. It was derived from a structure optimized by DFT (PBE), using Cu Kα (λ = 1.5418 Å).
No peak broadening, texture or thermal motion is included.

Atomic structure:
```
data_Pr7PtS5
_symmetry_space_group_name_H-M 'P 1 21/m 1'
_symmetry_Int_Tables_number 11
_symmetry_space_group_name_Hall '-P 2yb'
_cell_length_a 4.049
_cell_length_b 24.702
_cell_length_c 7.075
_cell_angle_alpha 90.00
_cell_angle_beta 106.55
_cell_angle_gamma 90.00
loop_
_atom_site_label
_atom_site_type_symbol
_atom_site_fract_x
_atom_site_fract_y
_atom_site_fract_z
Pr1 Pr 0.040 0.250 0.079
Pr2 Pr 0.137 0.536 0.275
Pr3 Pr 0.308 0.177 0.616
Pr4 Pr 0.412 0.606 0.825
Pt1 Pt 0.301 0.750 0.602
S1 S 0.048 0.643 0.098
S2 S 0.226 0.071 0.451
S3 S 0.500 0.000 0.000
```

Most intense lines, 10 to 80 degrees two-theta, sorted by position:
2theta  d (Å)  Rel. int.
27.14  3.285  29.8
28.51  3.131  100.0
29.27  3.051  38.1
30.51  2.930  92.5
31.59  2.832  67.6
44.05  2.056  25.3
44.77  2.024  30.8
53.93  1.700  48.5
********

Thursday, July 8, 2010

BAF Westside Block Party Postponed

For the time being, the BAF Westside Block Party is postponed. We will let you know when it is back on again. Thanks for your help in preparing for this event.

Also, we will not be handing out fliers on Saturday, July 10, to invite people to the postponed Block Party, so come play paintball at Splatter Action Paintball on Chapman Ranch Road. Registration begins at 9:30am and the first game kicks off at 10am after a prayer and a quick word about God. Cost is just $20 (rental, gun, all-day air, mask, and 500 rounds included.)

Wednesday, July 7, 2010

Finding Success That Matters

• Attached: data records:
[1]
# Sm3Al2O8
Computed PXRD pattern, Cu Kα, 1.54184 Å. Input: a DFT-relaxed cell (PBE, Alexandria).
No peak broadening, texture or thermal motion is included.

Peak list (12 most intense, 15 to 90 degrees two-theta, in order of falling intensity)
2theta	intensity	hkl
32.07	1000	1 1 0
30.10	925	0 1 5
18.96	497	1 0 1
44.56	436	2 0 5
55.95	355	1 2 5
52.18	277	1 0 10
43.41	238	1 1 6
57.16	234	3 0 0
72.06	198	2 1 10
67.07	178	2 2 0
26.44	147	1 0 4
75.24	145	3 1 5

Structural model:
Cell: 5.5818 5.5818 18.8101 Å, 90.00 90.00 120.00°
Space group R-3m (No. 166, hexagonal axes)
Symmetry-distinct sites (fractional):
Sm 0.0000 0.0000 0.0000 [3 per cell]
Sm 0.0000 0.0000 0.1976 [6 per cell]
Al 0.0000 0.0000 0.4071 [6 per cell]
O 0.0000 0.0000 0.3144 [6 per cell]
O 0.0131 0.5065 0.7689 [18 per cell]



[2]
# Sm4Al2O
Computed PXRD pattern, Cu Kα, 1.54184 Å. Input: a DFT-relaxed cell (PBE, Alexandria).
No peak broadening, texture or thermal motion is included.

Peak list (12 most intense, 15 to 90 degrees two-theta, in order of falling intensity)
2theta	intensity	hkl
28.92	1000	1 1 2
34.80	573	1 1 4
38.13	510	2 0 0
51.38	378	2 0 6
25.04	372	1 0 3
33.12	329	0 0 6
63.35	221	3 1 2
52.81	190	1 1 8
33.51	184	1 0 5
65.75	179	2 2 6
19.59	179	1 0 1
66.77	175	3 1 4

Structural model:
Cell: 4.720 4.720 16.228 Å, 90.00 90.00 90.00°
Space group I4/mmm (No. 139)
Symmetry-distinct sites (fractional):
Sm 0.000 0.000 0.173 [4 per cell]
Sm 0.000 0.500 0.000 [4 per cell]
Al 0.000 0.000 0.365 [4 per cell]
O 0.000 0.000 0.000 [2 per cell]



[3]
# SrSmAlO4
Computed PXRD pattern, Cu Kα, 1.54184 Å. Input: a DFT-relaxed cell (PBE, Alexandria).
No peak broadening, texture or thermal motion is included.

Peak list (12 most intense, 15 to 90 degrees two-theta, in order of falling intensity)
2theta	intensity	hkl
32.26	1000	1 0 3
33.81	714	1 1 0
24.81	576	1 0 1
45.03	513	1 1 4
48.57	382	2 0 0
59.51	368	2 1 3
43.86	261	0 0 6
28.86	233	0 0 4
67.50	203	2 0 6
57.64	167	1 0 7
56.53	157	1 1 6
57.48	140	2 0 4

Structural model:
Cell: 3.749 3.749 12.376 Å, 90.00 90.00 90.00°
Space group I4mm (No. 107)
Symmetry-distinct sites (fractional):
Sr 0.000 0.000 0.000 [2 per cell]
Sm 0.000 0.000 0.285 [2 per cell]
Al 0.000 0.000 0.642 [2 per cell]
O 0.000 0.000 0.477 [2 per cell]
O 0.000 0.000 0.806 [2 per cell]
O 0.000 0.500 0.152 [4 per cell]



[4]
# SrSmAl3O7
Computed PXRD pattern, Cu Kα, 1.54184 Å. Input: a DFT-relaxed cell (PBE, Alexandria).
No peak broadening, texture or thermal motion is included.

Peak list (12 most intense, 15 to 90 degrees two-theta, in order of falling intensity)
2theta	intensity	hkl
30.66	1000	3 1 1
30.51	840	1 3 1
28.36	384	2 2 1
23.32	369	0 2 1
50.71	350	4 2 2
17.02	333	0 0 1
15.81	284	0 2 0
59.31	272	3 1 3
43.21	266	3 1 2
25.31	201	3 1 0
34.43	173	0 0 2
43.10	173	1 3 2

Structural model:
Cell: 11.119 11.213 5.210 Å, 90.00 90.00 90.00°
Space group Cmm2 (No. 35)
Symmetry-distinct sites (fractional):
Sr 0.000 0.162 0.000 [4 per cell]
Sm 0.160 0.500 0.973 [4 per cell]
• Back to the piece:

How can a man get exactly what he wants and not be happy? The fact is that many men today are getting exactly what they want in life, but are still hurting. For some, life just hasn't turned out the way they planned. In any case, most men feel a lack of contentment in life.

A man's life consists of his relationships according to an article written by Patrick Morley of Man in the Mirror Ministries titled "Finding Success That Matters". Our most important relationships are with God, our wives, and our children in that order.

Click here to read more from Patrick Morley regarding success sickness, having the right goals, the three viruses that infect men with "success sickness" (the rat race, unexamined lives, and cultural Christianity).

Are you a cultural Christian?

Friday, July 2, 2010

Who is a Disciple of Jesus and What Does He Look Like?

(Taken from Disciples Are Made Not Born by Walter Henrichsen)

Who Is a Disciple of Jesus Christi And What Does He Look Like?

"A disciple is not above his teacher, nor a servant above his master." Matthew 10:24

  1. The disciple is one who in every area of his life determines from the Bible what is right and lives it consistently.
  2. The disciple is one who is in constant touch with people in need.
  3. In no way can a person get without giving or truly live without dying.
  4. The disciple is one who is in tune with the voice of the Spirit of God.
  5. One of the fundamental requisites for true discipleship is a spirit of desperation that burns deep within your soul.
  6. In paying the price for being Christ's disciple, we must purposefully destroy all avenues of retreat.
Jeff Powell